Nel Spaans: "I gained more and more self-confidence during the process and confidence in a good outcome. My coach guided me through this difficult period."

“After 38 years of working as a financial administrative assistant for the same employer, an insurance company, I was told that my position was being terminated. The work carried out by me became superfluous due to further digitisation.
What comes next are crystal structures, not part of the entry:
-- begin --
Entry one
Computed, not measured: Li3CrB2O6 at its PBEsol-relaxed geometry at the SCAN level of DFT.

Summary:
For the mass density, the calculation gives 3.0 g/cm3. The total magnetization is 3.0 μB/f.u.

a b c (Å): 5.199 5.625 7.277
angles (deg): 80.76 88.53 87.84
Space group P-1 (No. 2)
Unique sites:
1 Li 0.113 0.244 0.457
2 Li 0.180 0.984 0.771
3 Li 0.300 0.158 0.134
4 Cr 0.396 0.462 0.800
5 B 0.157 0.634 0.107
6 B 0.335 0.808 0.436
7 O 0.093 0.290 0.922
8 O 0.156 0.952 0.334
9 O 0.245 0.462 0.250
10 O 0.258 0.706 0.615
11 O 0.363 0.722 0.983
12 O 0.415 0.221 0.636

=====

Entry two
Computed, not measured: Li3CrB2O6 at its PBEsol-relaxed geometry at the SCAN level of DFT.

Summary:
For the mass density, the calculation gives 2.9 g/cm3. The total magnetization is 3.0 μB/f.u.

a b c (Å): 8.917 5.800 9.451
angles (deg): 90.00 116.24 90.00
Space group P2_1/c (No. 14)
Unique sites:
1 Li 0.106 0.227 0.484
2 Li 0.255 0.510 0.263
3 Li 0.376 0.743 0.593
4 Cr 0.264 0.021 0.273
5 B 0.061 0.684 0.823
6 B 0.430 0.198 0.060
7 O 0.087 0.239 0.675
8 O 0.094 0.728 0.695
9 O 0.192 0.563 0.941
10 O 0.305 0.084 0.082
11 O 0.411 0.234 0.907
12 O 0.424 0.736 0.814

=====

Least stable of them? entry one.

----------

# PBE Al2GaAg8, optimized geometry
data_Al2GaAg8
_space_group_name_H-M_alt 'C 1 2/m 1'
_space_group_IT_number 12
_cell_length_a 14.674
_cell_length_b 4.143
_cell_length_c 6.471
_cell_angle_alpha 90.00
_cell_angle_beta 105.20
_cell_angle_gamma 90.00
loop_
_space_group_symop_operation_xyz
'x,y,z'
'-x,-y,-z'
'-x,y,-z'
'x,-y,z'
'x+1/2,y+1/2,z'
'-x+1/2,-y+1/2,-z'
'-x+1/2,y+1/2,-z'
'x+1/2,-y+1/2,z'
loop_
_atom_site_label
_atom_site_fract_x
_atom_site_fract_y
_atom_site_fract_z
Al1 0.222 0.000 0.145
Ga1 0.000 0.500 0.500
Ag1 0.045 0.000 0.233
Ag2 0.098 0.500 0.959
Ag3 0.146 0.000 0.706
Ag4 0.180 0.500 0.421
# Energy relative to the elements (eV per atom): -0.0339
# Relative energy among the computed polymorphs (meV/atom): 0

---

# PBE Mn3C5, optimized geometry
data_Mn3C5
_space_group_name_H-M_alt 'P 1 m 1'
_space_group_IT_number 6
_cell_length_a 5.018
_cell_length_b 3.886
_cell_length_c 6.703
_cell_angle_alpha 90.00
_cell_angle_beta 97.99
_cell_angle_gamma 90.00
loop_
_space_group_symop_operation_xyz
'x,y,z'
'x,-y,z'
loop_
_atom_site_label
_atom_site_fract_x
_atom_site_fract_y
_atom_site_fract_z
Mn1 0.000 0.000 0.000
Mn2 0.027 0.500 0.442
Mn3 0.344 0.000 0.634
Mn4 0.376 0.500 0.127
Mn5 0.678 0.000 0.306
Mn6 0.706 0.500 0.800
C1 0.012 0.500 0.107
C2 0.100 0.000 0.367
C3 0.284 0.000 0.229
C4 0.435 0.500 0.551
C5 0.592 0.175 0.988
C6 0.595 0.500 0.388
C7 0.744 0.000 0.610
C8 0.989 0.194 0.711
# Energy relative to the elements (eV per atom): 0.7507
# Relative energy among the computed polymorphs (meV/atom): 0

---

# PBE RbGeTe2, optimized geometry
data_RbGeTe2
_space_group_name_H-M_alt 'P n a 21'
_space_group_IT_number 33
_cell_length_a 8.809
_cell_length_b 11.610
_cell_length_c 6.772
_cell_angle_alpha 90.00
_cell_angle_beta 90.00
_cell_angle_gamma 90.00
-- stop --
When I heard the news, panic set in, because what was to happen next? I was 57 years old at the time, I had never made a CV and hadn’t written a cover letter or interviewed for the past 38 years. I had gained a lot of experience in all those years, but had not obtained a degree.
At first I wanted to ‘do it all myself’, but after a day or two it dawned on me that I really needed help with this. On the advice of the HR employee, who already had a positive experience with Dynamisch Bureau, I ended up there.
I have experienced the guidance of Dynamisch Bureau as very good and pleasant. It is a professional agency and the coach thought along with and empathized with my situation. There was an immediate click between us from the start. I gained more and more self-confidence during the process and confidence in a good outcome. My coach guided me through this difficult period.
Through my trajectory at Dynamisch Bureau I learned how to pitch. Among other things, I participated twice in Jobconnection, a meeting for coachees where pitching is an important part. And where my CV only consisted of three lines in the beginning, at the end of my trajectory I had a nice CV that filled one A4!
Thanks to the TMA Talent Analysis, I have gained more insight into my strengths. I became more aware of what I actually have to offer.
My current situation is excellent. I am confident and calm. Although I initially thought I would never want to work in the financial sector again, I found out during the process that it actually still suits me very well. I am now working with great pleasure as an administrative assistant for the government! I like it, perform well and I can now keep work and private life separate better.
What advice I would give to others who find themselves in a similar situation as me? Ask for help! There is always someone who can help you. You can get advice, ask for help, and often it’s even paid for by your employer. I myself have already recommended Dynamisch Bureau to someone.
I now look forward to my future in a bright light. My personal message is: don’t be ashamed and ask for help. Be patient, something will always come your way and if I succeed, anyone can do it!”